-- To do --
The reader should repeat only the lines further below with the word "P11" in them.

-- Given --
********
The following is a DFT calculation (PBE-GGA) of crystalline Ba4SiP4 at its relaxed geometry.

## Properties
Symmetry: P-43n (218)
Formation enthalpy at 0 K, eV per atom: -0.9708
Final energy, eV/atom: -4.832

CIF file:
```
data_Ba4SiP4
_space_group_name_H-M_alt 'P 1'
_space_group_IT_number 1
_cell_length_a 13.1353
_cell_length_b 13.1353
_cell_length_c 13.1353
_cell_angle_alpha 90.00
_cell_angle_beta 90.00
_cell_angle_gamma 90.00
loop_
_space_group_symop_operation_xyz
'x,y,z'
loop_
_atom_site_label
_atom_site_fract_x
_atom_site_fract_y
_atom_site_fract_z
Ba1 0.0934 0.1328 0.6458
Ba2 0.0934 0.8672 0.3542
Ba3 0.1328 0.3542 0.9066
Ba4 0.1328 0.6458 0.0934
Ba5 0.1459 0.1459 0.1459
Ba6 0.1458 0.3672 0.4066
Ba7 0.1458 0.6328 0.5934
Ba8 0.1459 0.8541 0.8541
Ba9 0.3542 0.0934 0.8672
Ba10 0.3541 0.3541 0.6459
Ba11 0.3541 0.6459 0.3541
Ba12 0.3542 0.9066 0.1328
Ba13 0.3672 0.4066 0.1458
Ba14 0.3672 0.5934 0.8542
Ba15 0.4066 0.1458 0.3672
Ba16 0.4066 0.8542 0.6328
Ba17 0.5934 0.1458 0.6328
Ba18 0.5934 0.8542 0.3672
Ba19 0.6328 0.4066 0.8542
Ba20 0.6328 0.5934 0.1458
Ba21 0.6458 0.0934 0.1328
Ba22 0.6459 0.3541 0.3541
Ba23 0.6459 0.6459 0.6459
Ba24 0.6458 0.9066 0.8672
Ba25 0.8541 0.1459 0.8541
Ba26 0.8542 0.3672 0.5934
Ba27 0.8542 0.6328 0.4066
Ba28 0.8541 0.8541 0.1459
Ba29 0.8672 0.3542 0.0934
Ba30 0.8672 0.6458 0.9066
Ba31 0.9066 0.1328 0.3542
Ba32 0.9066 0.8672 0.6458
Si1 0.0000 0.0000 0.0000
Si2 0.0000 0.5000 0.2500
Si3 0.0000 0.5000 0.7500
Si4 0.2500 0.0000 0.5000
Si5 0.5000 0.2500 0.0000
Si6 0.5000 0.5000 0.5000
Si7 0.5000 0.7500 0.0000
Si8 0.7500 0.0000 0.5000
P1 0.1015 0.1015 0.8985
P2 0.1008 0.3914 0.6540
P3 0.1008 0.6086 0.3460
P4 0.1015 0.8985 0.1015
P5 0.1086 0.3992 0.1540
P6 0.1086 0.6008 0.8460
P7 0.1540 0.1086 0.3992
P8 0.1540 0.8914 0.6008
P9 0.3460 0.1008 0.6086
P10 0.3460 0.8992 0.3914
P11 0.3914 0.3460 0.8992
P12 0.3914 0.6540 0.1008
P13 0.3992 0.1540 0.1086
P14 0.3985 0.3985 0.3985
P15 0.3985 0.6015 0.6015
P16 0.3992 0.8460 0.8914
P17 0.6008 0.1540 0.8914
P18 0.6015 0.3985 0.6015
P19 0.6015 0.6015 0.3985
P20 0.6008 0.8460 0.1086
P21 0.6086 0.3460 0.1008
P22 0.6086 0.6540 0.8992
P23 0.6540 0.1008 0.3914
P24 0.6540 0.8992 0.6086
P25 0.8460 0.1086 0.6008
P26 0.8460 0.8914 0.3992
P27 0.8914 0.3992 0.8460
P28 0.8914 0.6008 0.1540
P29 0.8985 0.1015 0.1015
P30 0.8992 0.3914 0.3460
P31 0.8992 0.6086 0.6540
P32 0.8985 0.8985 0.8985
```
********

-- Outcome --
P11 0.3914 0.3460 0.8992